Structure and simulated X-ray diffraction stick pattern of CdRh2AuC (a cell relaxed with PBE; CuKα).
Neutral-atom scattering factors, no anomalous dispersion.

The 10 most intense peaks (15 to 90 degrees two-theta), in order of rising 2θ:
17.34°, I = 48, (0 0 1); 17.82°, I = 100, (1 0 0); 35.10°, I = 30, (0 0 2); 36.10°, I = 56, (2 0 0); 39.63°, I = 28, (1 0 2); 40.31°, I = 24, (2 0 1); 40.54°, I = 26, (2 1 0); 51.23°, I = 41, (2 0 2); 54.68°, I = 22, (2 1 2); 64.27°, I = 20, (2 2 2)

Structure:
```
data_CdRh2AuC
_chemical_formula_sum 'Cd1 Rh2 Au1 C1'
_space_group_name_H-M_alt 'P 4/m m m'
_space_group_IT_number 123
_space_group_name_Hall '-P 4 2'
_cell_length_a 4.976
_cell_length_b 4.976
_cell_length_c 5.113
_cell_angle_alpha 90.00
_cell_angle_beta 90.00
_cell_angle_gamma 90.00
loop_
_atom_site_label
_atom_site_fract_x
_atom_site_fract_y
_atom_site_fract_z
Cd1 0.000 0.000 0.000
Rh1 0.000 0.500 0.500
Au1 0.000 0.000 0.500
C1 0.500 0.500 0.000
```
Now quote everything further up unchanged.
Structure and simulated X-ray diffraction stick pattern of CdRh2AuC (a cell relaxed with PBE; CuKα).
Neutral-atom scattering factors, no anomalous dispersion.

The 10 most intense peaks (15 to 90 degrees two-theta), in order of rising 2θ:
17.34°, I = 48, (0 0 1); 17.82°, I = 100, (1 0 0); 35.10°, I = 30, (0 0 2); 36.10°, I = 56, (2 0 0); 39.63°, I = 28, (1 0 2); 40.31°, I = 24, (2 0 1); 40.54°, I = 26, (2 1 0); 51.23°, I = 41, (2 0 2); 54.68°, I = 22, (2 1 2); 64.27°, I = 20, (2 2 2)

Structure:
```
data_CdRh2AuC
_chemical_formula_sum 'Cd1 Rh2 Au1 C1'
_space_group_name_H-M_alt 'P 4/m m m'
_space_group_IT_number 123
_space_group_name_Hall '-P 4 2'
_cell_length_a 4.976
_cell_length_b 4.976
_cell_length_c 5.113
_cell_angle_alpha 90.00
_cell_angle_beta 90.00
_cell_angle_gamma 90.00
loop_
_atom_site_label
_atom_site_fract_x
_atom_site_fract_y
_atom_site_fract_z
Cd1 0.000 0.000 0.000
Rh1 0.000 0.500 0.500
Au1 0.000 0.000 0.500
C1 0.500 0.500 0.000
```